### Given
'''
No. 1
RhSeS2Cl, optimized geometry, DFT PBE; E above lowest polymorph = 0.00 eV per formula unit; space group = P4/mmm (123); formation energy from raw total energies = 2.2 eV/f.u.
1.0
4.651 0.000 0.000
0.000 4.651 0.000
0.000 0.000 4.676
Rh Se S Cl
1 1 2 1
Cartesian
0.000 0.000 0.000
2.326 2.326 2.338
0.000 2.326 0.000
2.326 0.000 0.000
0.000 0.000 2.338

***

No. 2
CoPBr2, optimized geometry, DFT PBE; E above lowest polymorph = 4.35 eV per formula unit; space group = I-4m2 (119); formation energy from raw total energies = 3.0 eV/f.u.
1.0
-1.843 1.843 7.078
1.843 -1.843 7.078
1.843 1.843 -7.078
Co P Br
1 1 2
Cartesian
0.000 0.000 0.000
1.843 0.000 3.539
0.000 0.000 7.078
0.000 1.843 3.539

***

No. 3
CaGa, optimized geometry, DFT PBE; energy of formation from the pure elements = -0.41 eV/atom; space group = Cmcm (63)
1.0
4.642 -3.768 0.000
4.642 3.768 0.000
0.000 0.000 5.658
Ca Ga
4 4
Cartesian
1.692 1.164 1.414
1.692 -1.164 4.243
7.593 1.164 1.414
7.593 -1.164 4.243
4.642 2.325 1.414
4.642 0.000 0.000
4.642 0.000 2.829
4.642 -2.325 4.243

***

No. 4
Bi19S27I3, optimized geometry, DFT PBE; space group = R3 (146); formation energy from raw total energies = -17.1 eV/f.u.
1.0
13.676 7.896 4.054
-13.676 7.896 4.054
0.000 -15.792 4.054
Bi S I
38 54 6
Cartesian
-9.746 -6.687 6.056
-6.634 -10.040 6.023
-0.669 -4.312 2.022
-10.279 5.166 3.984
0.000 0.000 0.966
-3.400 2.735 2.022
0.666 -11.485 3.984
-7.046 2.148 4.041
-3.927 -1.217 4.002
-5.331 -4.982 5.991
1.663 -7.176 4.041
-1.639 -8.703 6.115
-8.352 -2.932 8.001
4.069 1.577 2.022
-0.694 -4.275 6.006
-6.718 5.771 6.115
3.017 -2.792 4.002
-3.355 2.738 6.006
0.909 4.009 4.002
-6.981 2.130 8.126
-4.047 -1.541 8.109
-5.378 10.765 6.023
1.646 -7.111 8.126
0.000 0.000 7.059
-1.649 7.108 5.991
5.383 5.028 4.041
4.049 1.537 6.006
6.980 -2.126 5.991
-0.918 11.784 6.056
3.358 -2.735 8.109
10.665 -5.097 6.056
6.716 -5.767 8.001
0.689 4.276 8.109
9.613 6.319 3.984
8.357 2.932 6.115
1.636 8.699 8.001
12.012 -0.725 6.023
5.335 4.981 8.126
-12.763 -1.267 6.048
-1.842 -10.583 4.004
-2.221 -1.597 1.972
-10.043 -3.824 6.032
-3.624 -4.073 4.028
-11.446 -6.295 8.088
-11.837 2.678 6.056
-0.915 -6.638 4.015
-8.244 6.887 4.004
-0.273 2.722 1.972
-6.245 -2.518 6.058
-5.292 4.111 4.015
2.493 -1.125 1.972
-2.476 1.199 4.021
-8.402 3.763 6.028
-7.449 -5.392 8.088
0.200 -2.743 4.021
-5.438 1.042 6.046
0.942 -9.157 6.028
-1.715 5.175 4.028
-2.225 -1.599 6.063
3.599 -11.590 6.056
-3.613 -4.190 8.071
2.276 1.545 4.021
1.817 -5.231 6.046
-0.946 -6.678 8.057
5.339 -1.102 4.028
-0.272 2.727 6.063
7.479 -10.420 6.048
-5.310 4.158 8.057
2.497 -1.127 6.063
-2.502 1.130 8.050
5.304 -4.149 6.058
6.206 2.527 4.015
0.272 -2.731 8.050
8.333 -6.785 6.032
0.941 6.668 6.058
-1.823 5.224 8.071
-2.269 -1.540 10.092
3.621 4.189 6.046
10.086 3.696 4.004
2.229 1.602 8.050
1.710 10.609 6.032
-0.945 9.147 8.088
5.435 -1.034 8.071
-0.199 2.735 10.092
7.459 5.395 6.028
8.394 -3.755 8.088
2.469 -1.195 10.092
11.174 -6.765 8.088
5.285 11.687 6.048
6.256 2.520 8.057
0.272 13.060 8.088
8.238 8.912 6.056
-9.118 -0.010 6.037
-4.552 -7.903 8.076
4.567 -7.892 6.037
-4.568 7.893 8.076
4.551 7.902 6.037
9.120 0.009 8.076

***

No. 5
Ba4Hg3Bi8, optimized geometry, DFT PBE; energy of formation from the pure elements = -0.44 eV/atom; space group = P-4m2 (115)
1.0
4.984 0.000 0.000
0.000 4.984 0.000
0.000 0.000 21.175
Ba Hg Bi
4 3 8
Cartesian
0.000 2.492 2.433
0.000 2.492 13.167
2.492 0.000 8.007
2.492 0.000 18.742
0.000 0.000 0.000
0.000 0.000 10.587
2.492 2.492 10.587
0.000 0.000 5.248
0.000 0.000 15.926
0.000 2.492 8.445
0.000 2.492 19.368
2.492 0.000 1.807
2.492 0.000 12.730
2.492 2.492 5.252
2.492 2.492 15.922

***

No. 6
BaZr2Bi2, optimized geometry, DFT PBE; E above lowest polymorph = 1.33 eV per formula unit; energy of formation from the pure elements = -0.19 eV/atom; space group = P4/mbm (127)
1.0
8.800 0.000 0.000
0.000 8.800 0.000
0.000 0.000 3.785
Ba Zr Bi
2 4 4
Cartesian
0.000 0.000 0.000
4.400 4.400 0.000
1.208 3.192 1.893
'''

### Work order
Your job: retype the lines above up to the one that holds "-4.552 -7.903", that line included.

### Outcome
No. 1
RhSeS2Cl, optimized geometry, DFT PBE; E above lowest polymorph = 0.00 eV per formula unit; space group = P4/mmm (123); formation energy from raw total energies = 2.2 eV/f.u.
1.0
4.651 0.000 0.000
0.000 4.651 0.000
0.000 0.000 4.676
Rh Se S Cl
1 1 2 1
Cartesian
0.000 0.000 0.000
2.326 2.326 2.338
0.000 2.326 0.000
2.326 0.000 0.000
0.000 0.000 2.338

***

No. 2
CoPBr2, optimized geometry, DFT PBE; E above lowest polymorph = 4.35 eV per formula unit; space group = I-4m2 (119); formation energy from raw total energies = 3.0 eV/f.u.
1.0
-1.843 1.843 7.078
1.843 -1.843 7.078
1.843 1.843 -7.078
Co P Br
1 1 2
Cartesian
0.000 0.000 0.000
1.843 0.000 3.539
0.000 0.000 7.078
0.000 1.843 3.539

***

No. 3
CaGa, optimized geometry, DFT PBE; energy of formation from the pure elements = -0.41 eV/atom; space group = Cmcm (63)
1.0
4.642 -3.768 0.000
4.642 3.768 0.000
0.000 0.000 5.658
Ca Ga
4 4
Cartesian
1.692 1.164 1.414
1.692 -1.164 4.243
7.593 1.164 1.414
7.593 -1.164 4.243
4.642 2.325 1.414
4.642 0.000 0.000
4.642 0.000 2.829
4.642 -2.325 4.243

***

No. 4
Bi19S27I3, optimized geometry, DFT PBE; space group = R3 (146); formation energy from raw total energies = -17.1 eV/f.u.
1.0
13.676 7.896 4.054
-13.676 7.896 4.054
0.000 -15.792 4.054
Bi S I
38 54 6
Cartesian
-9.746 -6.687 6.056
-6.634 -10.040 6.023
-0.669 -4.312 2.022
-10.279 5.166 3.984
0.000 0.000 0.966
-3.400 2.735 2.022
0.666 -11.485 3.984
-7.046 2.148 4.041
-3.927 -1.217 4.002
-5.331 -4.982 5.991
1.663 -7.176 4.041
-1.639 -8.703 6.115
-8.352 -2.932 8.001
4.069 1.577 2.022
-0.694 -4.275 6.006
-6.718 5.771 6.115
3.017 -2.792 4.002
-3.355 2.738 6.006
0.909 4.009 4.002
-6.981 2.130 8.126
-4.047 -1.541 8.109
-5.378 10.765 6.023
1.646 -7.111 8.126
0.000 0.000 7.059
-1.649 7.108 5.991
5.383 5.028 4.041
4.049 1.537 6.006
6.980 -2.126 5.991
-0.918 11.784 6.056
3.358 -2.735 8.109
10.665 -5.097 6.056
6.716 -5.767 8.001
0.689 4.276 8.109
9.613 6.319 3.984
8.357 2.932 6.115
1.636 8.699 8.001
12.012 -0.725 6.023
5.335 4.981 8.126
-12.763 -1.267 6.048
-1.842 -10.583 4.004
-2.221 -1.597 1.972
-10.043 -3.824 6.032
-3.624 -4.073 4.028
-11.446 -6.295 8.088
-11.837 2.678 6.056
-0.915 -6.638 4.015
-8.244 6.887 4.004
-0.273 2.722 1.972
-6.245 -2.518 6.058
-5.292 4.111 4.015
2.493 -1.125 1.972
-2.476 1.199 4.021
-8.402 3.763 6.028
-7.449 -5.392 8.088
0.200 -2.743 4.021
-5.438 1.042 6.046
0.942 -9.157 6.028
-1.715 5.175 4.028
-2.225 -1.599 6.063
3.599 -11.590 6.056
-3.613 -4.190 8.071
2.276 1.545 4.021
1.817 -5.231 6.046
-0.946 -6.678 8.057
5.339 -1.102 4.028
-0.272 2.727 6.063
7.479 -10.420 6.048
-5.310 4.158 8.057
2.497 -1.127 6.063
-2.502 1.130 8.050
5.304 -4.149 6.058
6.206 2.527 4.015
0.272 -2.731 8.050
8.333 -6.785 6.032
0.941 6.668 6.058
-1.823 5.224 8.071
-2.269 -1.540 10.092
3.621 4.189 6.046
10.086 3.696 4.004
2.229 1.602 8.050
1.710 10.609 6.032
-0.945 9.147 8.088
5.435 -1.034 8.071
-0.199 2.735 10.092
7.459 5.395 6.028
8.394 -3.755 8.088
2.469 -1.195 10.092
11.174 -6.765 8.088
5.285 11.687 6.048
6.256 2.520 8.057
0.272 13.060 8.088
8.238 8.912 6.056
-9.118 -0.010 6.037
-4.552 -7.903 8.076